Weekly Bulk Payments

How to reduce the stress in your company’s payment approval process

Giancarlo Jimenez
Small Business Forum
3 min readAug 16, 2018


Photo by Helloquence on Unsplash

A few days ago I met with a client of mine to go over her action plan for the next 3 months. This is one of those clients that has everything in order, creates budgets (and actually uses them), is very clear on the direction they want to take and have been growing organically throughout the years. There was one thing however that she felt was taking up too much of her time and did not know how to fix it: approving all company payments.

The Situation

Emergency payments. Unforeseen payments. Requesting they be made as soon as they are delivered. I’ve seen too many small businesses like this. What usually happens is that every single day of the week owners and managers receive request after request of payments that need to be made right away. It’s easy to get sucked into this because as business owners, we don’t want to be the bottleneck of our businesses. So day after day requests go in and payments go out.

The problem is when these requests get in the way of our real work, allowing us to only focus on strategic issues after 5 pm (when the bank closes) and robbing us of our personal time. The question is…how do we put a stop to this? In the case of my client, due to past experiences, she didn’t trust anyone else to approve payments when she was present. Given that she wanted it to remain that way, the solution I offered came in three words: weekly bulk payments.

Weekly Bulk Payments

Long story short, what you have to do is determine a day of the week when you want to approve your weekly payments. If the request arises before that day, it will have to wait a day or two. If the request arises after, it will have to wait until the following week (unless, in both cases, it is an actual emergency). To do this, you need to demand three things from your team:

  1. Weekly planning of all payments. This means that each week, all departments will make a list of everything they want/have to pay the following week. This list should be final. Be doubtful of “emergency” payments. Sometimes employees negotiate for weeks with a supplier and only request the payment be made after the contract has been signed. This is not an emergency…this is a lack of communication. The question to distinguish between a real and a fake emergency is to ask “when did you first know we might have to make this payment?”;
  2. Everyone on your team should inform their corresponding suppliers that all payments will be made on one day of the week. Not before nor later. This goes for your employees as well. Reimbursements requests should be planned for and expected to be paid one day of the week; and
  3. Maintain this list on your desk or on your computer. This will be the only way you can actually control that you pay what was actually planned.

Possible Roadblock

One final word of advice. You will receive confrontation from your team if they are used to requesting payments every single day for too long. The only way this will work is if you as the business owner or manager demand it be made this way. This will fail if you give in to every single payment your team requests to you personally with an explanation of why it should be made this week. Inform your team of the new procedures, decide on the day and don’t back down. This will be the only way you can focus on strategic issues on the other days of the week during actual work hours.

Inserted here: materials data:
+++
# 1
Compound: Ce4Cu5Sb8
Source: the Materials Project database
Functional: PBE
Structure: optimized geometry

Cell: 4.529 4.529 19.903 Å, 90.00 90.00 90.00°
Space group P4mm (No. 99)
One atom of each set of equivalent atoms:
Ce 0.000 0.000 0.000 (multiplicity 1)
Ce 0.000 0.000 0.490 (multiplicity 1)
Ce 0.500 0.500 0.250 (multiplicity 1)
Ce 0.500 0.500 0.748 (multiplicity 1)
Cu 0.000 0.000 0.685 (multiplicity 1)
Cu 0.000 0.500 0.373 (multiplicity 2)
Cu 0.000 0.500 0.877 (multiplicity 2)
Sb 0.000 0.000 0.296 (multiplicity 1)
Sb 0.000 0.000 0.809 (multiplicity 1)
Sb 0.000 0.500 0.124 (multiplicity 2)
Sb 0.000 0.500 0.615 (multiplicity 2)
Sb 0.500 0.500 0.449 (multiplicity 1)
Sb 0.500 0.500 0.955 (multiplicity 1)

Results
ΔE_f (eV per atom): -0.6482
Total magnetization (μB/cell): 2.55

=====

# 2
Compound: Ce3Cu3Sb4
Source: the Materials Project database
Functional: PBE
Structure: optimized geometry

Cell: 9.727 9.727 9.727 Å, 90.00 90.00 90.00°
Space group I-43d (No. 220)
One atom of each set of equivalent atoms:
Ce 0.000 0.250 0.875 (multiplicity 12)
Cu 0.000 0.250 0.375 (multiplicity 12)
Sb 0.080 0.420 0.580 (multiplicity 16)

Results
ΔE_f (eV per atom): -0.7827
Total magnetization (μB/cell): 11.84

=====

# 3
Compound: CeCu2Sb2
Source: the Materials Project database
Functional: PBE
Structure: optimized geometry

Cell: 4.627 4.627 10.318 Å, 90.00 90.00 90.00°
Space group P4/nmm (No. 129, origin choice 2)
One atom of each set of equivalent atoms:
Ce 0.250 0.250 0.244 (multiplicity 2)
Cu 0.250 0.250 0.629 (multiplicity 2)
Cu 0.250 0.750 0.000 (multiplicity 2)
Sb 0.250 0.250 0.871 (multiplicity 2)
Sb 0.250 0.750 0.500 (multiplicity 2)

Results
ΔE_f (eV per atom): -0.4713
Total magnetization (μB/cell): 2.29

=====

# 4
Compound: CeCuSe2
Source: the Materials Project database
Functional: PBE
Structure: optimized geometry

Cell: 6.696 7.512 7.244 Å, 90.00 96.88 90.00°
Space group P2_1/c (No. 14)
One atom of each set of equivalent atoms:
Ce 0.191 0.048 0.300 (multiplicity 4)
Cu 0.438 0.662 0.461 (multiplicity 4)
Se 0.087 0.725 0.500 (multiplicity 4)
Se 0.401 0.112 0.716 (multiplicity 4)

Results
ΔE_f (eV per atom): -1.4453

=====

# 5
Compound: Ce3CuSiSe7
Source: the Materials Project database
Functional: PBE
Structure: optimized geometry

Cell: 10.6621 10.6621 6.1102 Å, 90.00 90.00 120.00°
Space group P6_3 (No. 173)
One atom of each set of equivalent atoms:
Ce 0.1264 0.3552 0.0000 (multiplicity 6)
Cu 0.0000 0.0000 0.4619 (multiplicity 2)
Si 0.3333 0.6667 0.5904 (multiplicity 2)
Se 0.0902 0.2541 0.4856 (multiplicity 6)
Se 0.1052 0.5836 0.7368 (multiplicity 6)
Se 0.3333 0.6667 0.2177 (multiplicity 2)

Results
ΔE_f (eV per atom): -1.5952
Total magnetization (μB/cell): 5.98

=====

# 6
Compound: Ce3CuSnSe7
Source: the Materials Project database
Functional: PBE
Structure: optimized geometry

Cell: 10.6188 10.6188 6.3684 Å, 90.00 90.00 120.00°
Space group P6_3 (No. 173)
One atom of each set of equivalent atoms:
Ce 0.1370 0.3577 0.0000 (multiplicity 6)
+++

How about you? Is your payment approval process taking too much of your time? Tell me about your experience in the comments below or write me an email at info@thefinancecourse.com.

Giancarlo Jiménez, founder of The Finance Course, is a Finance Professional with more than 11 years of experience in the field of Finance and more than 4 years of experience teaching about Corporate Finance in a Business School. Want to learn how to interpret Financial Statements & Ratios to make decisions at your small business? You can Sign Up To The Free Course by visiting this page.



Giancarlo Jimenez
Small Business Forum

I help companies prevent from running out of cash and issue reports that help Managers & Shareholders make informed decisions. https://www.thefinancecourse.com/